“You got that right,” I say. “I wonder if any of those women that were having dinner with Bella are registered to carry? That may be an interesting lead.”

Lou sighs hard. “I heard the woman who died was a novelist. She wrote thrillers. And the women that were with her that night were a part of her writing group. I bet one of them knows their way around a gun.”

“I bet you’re right,” I say as my mind begins to spin.

Forest lifts a hand. “Now, now, Lottie. Don’t you even think of investigating this case.” He turns to his friend. “My sister-in-law here is a notoriously good detective in her own right.” He turns my way and wags a finger. “But one of these days it’s going to cost you everything. Keep your nose clean, Lottie. Steer clear of trouble. Believe me, you’ll be saving yourself, and most likely others, a heck of a lot of heartbreak.”

They say goodnight before heading toward the back.

It’s too late to save myself and anyone else heartbreak.

I’ve already steered my way straight into trouble.

And now it’s my job to steer my way right out of it, too—for both my sake and my sister’s.

As far as the latest homicide victim—well, it looks as if I have a writing group to quiz.

And starting tomorrow, I’ll do just that.


The bakery is bustling this, the very next day after Charlie’s arrest.

Unfortunately for my sweet sis, she’s still in the pokey. I took Lyla Nell and visited her this morning and Charlie was more than grateful. Thankfully, she’s the only one in her holding cell, but I have a feeling, come prison, she won’t be so lucky.

Not that there’s anything lucky about being locked up for something she didn’t do.

I’d like to think that haunted wreath of mourning has struck again, but this bad luck was one hundred percent mine.

“Pass me the s’mores brownies, please,” my mother says as she, Carlotta, Keelie, and I sit at a table near the window while Suze and Lily man the registers. “These may just be your best treats yet.”

Lyla Nell does her best to snatch that brownie right out of her Glam Glam’s hand as she wiggles on my mother’s lap.

== Materials data that have nothing to do with the entry ==
/*
Crystalline Na3ErP2O8 at its relaxed geometry. Source: the Materials Project, functional PBE.

The structure in POSCAR format:
```
Na3ErP2O8
1.0
0.896 3.426 -3.935
13.648 -2.321 1.089
-1.359 -13.755 -12.286
O Er Na P
64 8 24 16
direct
0.007 0.998 0.899
0.992 0.252 0.734
0.538 0.636 0.732
0.051 0.387 0.146
0.527 0.999 0.643
0.079 0.942 0.527
0.079 0.558 0.027
0.875 0.881 0.994
0.467 0.750 0.479
0.179 0.708 0.874
0.301 0.528 0.264
0.382 0.367 0.385
0.179 0.792 0.374
0.736 0.248 0.618
0.226 0.999 0.262
0.428 0.191 0.350
0.618 0.867 0.385
0.125 0.119 0.494
0.875 0.619 0.494
0.993 0.002 0.399
0.821 0.292 0.374
0.301 0.972 0.764
0.992 0.248 0.234
0.264 0.752 0.118
0.462 0.364 0.232
0.051 0.113 0.646
0.226 0.501 0.762
0.921 0.442 0.527
0.473 0.499 0.643
0.315 0.542 0.501
0.473 0.001 0.143
0.538 0.864 0.232
0.791 0.724 0.112
0.774 0.001 0.762
0.572 0.691 0.350
0.685 0.042 0.501
0.949 0.613 0.646
0.527 0.501 0.143
0.462 0.136 0.732
0.618 0.633 0.885
0.533 0.250 0.979
0.007 0.502 0.399
0.264 0.748 0.618
0.008 0.752 0.734
0.125 0.381 0.994
0.209 0.276 0.612
0.791 0.776 0.612
0.008 0.748 0.234
0.774 0.499 0.262
0.921 0.058 0.027
0.993 0.498 0.899
0.699 0.028 0.264
0.821 0.208 0.874
0.467 0.750 0.979
0.572 0.809 0.850
0.949 0.887 0.146
0.382 0.133 0.885
0.533 0.250 0.479
0.736 0.252 0.118
0.699 0.472 0.764
0.209 0.224 0.112
0.428 0.309 0.850
0.315 0.958 0.001
0.685 0.458 0.001
0.557 0.639 0.573
0.443 0.139 0.573
0.928 0.610 0.805
0.557 0.861 0.073
0.072 0.390 0.305
0.072 0.110 0.805
0.928 0.890 0.305
0.443 0.361 0.073
0.501 0.612 0.050
0.539 0.969 0.888
0.539 0.531 0.388
0.992 0.283 0.492
0.501 0.888 0.550
0.008 0.717 0.992
0.003 0.139 0.328
0.519 0.202 0.229
0.003 0.361 0.828
0.997 0.861 0.828
0.008 0.783 0.492
0.481 0.798 0.729
0.481 0.702 0.229
0.993 0.952 0.649
0.519 0.298 0.729
0.499 0.112 0.050
0.461 0.469 0.888
0.007 0.452 0.649
0.007 0.048 0.149
0.461 0.031 0.388
0.997 0.639 0.328
0.499 0.388 0.550
0.992 0.217 0.992
0.993 0.548 0.149
0.993 0.222 0.653
0.461 0.773 0.396
0.539 0.273 0.396
0.481 0.973 0.225
0.969 0.475 0.981
0.969 0.025 0.481
0.031 0.975 0.981
0.519 0.473 0.225
0.007 0.778 0.153
0.539 0.227 0.896
0.461 0.727 0.896
0.007 0.722 0.653
0.481 0.527 0.725
0.519 0.027 0.725
0.031 0.525 0.481
0.993 0.278 0.153
```

Results
total energy after the MP2020 corrections = -802.2 eV per cell
energy relative to the elements = -2.95 eV/atom
calculated volume = 12.14 Å³ per atom

Crystalline Gd3BeCrS7 at its relaxed geometry. Source: the Materials Project, functional PBE.

The structure in POSCAR format:
```
Gd3BeCrS7
1.0
4.866 -8.428 0.000
4.866 8.428 0.000
0.000 0.000 5.936
Cr S Be Gd
2 14 2 6
direct
0.000 0.000 0.482
0.000 0.000 0.982
0.483 0.589 0.975
0.224 0.079 0.227
0.333 0.667 0.485
0.855 0.776 0.227
0.894 0.483 0.475
0.411 0.894 0.975
0.776 0.921 0.727
0.145 0.224 0.727
0.079 0.855 0.727
0.667 0.333 0.985
0.921 0.145 0.227
0.589 0.106 0.475
0.517 0.411 0.475
0.106 0.517 0.975
0.333 0.667 0.837
0.667 0.333 0.337
0.390 0.139 0.753
*/

Wisely, my mother hands Lyla Nell the sweet treat and reaches for another one for herself.

Keelie, my bestie since preschool, shakes her blonde hair. “I’m in love with these pineapple upside-down cupcakes. I wish you had thought of this a million years ago. I feel a lot less guilty buying these than I would an entire upside-down cake.”

“You know what they say”—Carlotta pauses to snatch up a pineapple upside-down cupcake herself and feeds a bit to Teeny Weenie—“necessity is the mother of invention. Lot Lot needed something snack-size for that eat-the-dead tour that keeps rolling through the place.”

“That tour has nothing to do with eating the dead,” Mom says, making a face. “It’s called The Last Thing They Ate Tour. I should know, I thought of the catchy name myself.” She gives a quick wink my way. “You’re welcome.”

“Just think, Lot”—Carlotta pats me on the back—“if it wasn’t for all the corpses you’ve found, this place would be a corpse by now.”

Teeny Weenie snags the opportunity to steal the cupcake right out of Carlotta’s hand, causing Lyla Nell to cackle so loud at the sight the windows rattle.

I choose to ignore Carlotta’s corpse-riddled commentary and look at my mother instead.

“Thank you,” I tell her. “As morbid as it sounds, I think that tour is what really put this place on the map.” Much to Carlotta’s point.

“That’s because you’re on a physical map,” Keelie points out. “I saw the fliers at a tourist kiosk while Bear and I were in Manhattan last weekend. Both you and your mama are famous.”

Bear was my high school boyfriend who brought me to tears each night with all of his cheating ways. But he’s since reformed, and now he and Keelie are married with a baby boy who will be two later this summer.

“And Miranda,” Keelie continues. “I saw that you’ve upped the prices for your Haunted Honey Hollow B&B Tour.”

“It was a must,” Mom insists. “Inflation can be a real killer.”

“Inflation?” I muse. “Mom, all they do is walk around the place. You don’t even feed them.”